-- Activity --
Return everything further below unchanged.
-- Contents --
********
w.
HoRePO | PBE-GGA | optimized geometry

Unit cell a=4.303 b=4.303 c=6.486 alpha=90.00 beta=90.00 gamma=90.00
Fractional coordinates of all 8 atoms:
Ho  0.500  0.000  0.500
Re  0.500  0.500  0.871
Ho  0.000  0.500  0.500
O  0.500  0.000  0.000
P  0.500  0.500  0.231
O  0.000  0.500  0.000
P  0.000  0.000  0.769
Re  0.000  0.000  0.129

- calculated density (Mg/m³) = 11.01
- total moment (μB per formula unit) = 0.02
- crystal system = tetragonal

=====

x.
HoRePO | PBE-GGA | optimized geometry

Unit cell a=3.907 b=3.907 c=8.259 alpha=90.00 beta=90.00 gamma=90.00
Fractional coordinates of all 8 atoms:
Ho  0.500  0.500  0.868
O  0.000  0.500  0.000
Re  0.000  0.500  0.500
P  0.500  0.500  0.328
Ho  0.000  0.000  0.132
O  0.500  0.000  0.000
P  0.000  0.000  0.672
Re  0.500  0.000  0.500

- calculated density (Mg/m³) = 10.49
- total moment (μB per formula unit) = 0.00
- crystal system = tetragonal

=====

Most stable structure - x; separation to the second - 1751 meV per atom.

=====

w.
HoRePO | PBE-GGA | optimized geometry

Unit cell a=3.963 b=6.106 c=5.516 alpha=90.00 beta=90.00 gamma=90.00
Fractional coordinates of all 8 atoms:
Re  0.500  0.945  0.101
P  0.000  0.181  0.374
O  0.500  0.240  0.917
P  0.000  0.819  0.874
Ho  0.000  0.341  0.862
Re  0.500  0.055  0.601
O  0.500  0.760  0.417
Ho  0.000  0.659  0.362

- calculated density (Mg/m³) = 9.90
- total moment (μB per formula unit) = 0.00
- crystal system = orthorhombic

=====

x.
HoRePO | PBE-GGA | optimized geometry

Unit cell a=4.363 b=4.415 c=6.188 alpha=90.00 beta=90.00 gamma=90.00
Fractional coordinates of all 8 atoms:
O  0.500  0.847  0.434
P  0.000  0.649  0.790
O  0.500  0.153  0.934
Re  0.000  0.855  0.440
P  0.000  0.351  0.290
Ho  0.500  0.312  0.590
Ho  0.500  0.688  0.090
Re  0.000  0.145  0.940

- calculated density (Mg/m³) = 11.09
- total moment (μB per formula unit) = 0.01
- crystal system = orthorhombic

=====

Most stable structure - x; separation to the second - 232 meV per atom.

=====

w.
HoSbPO | PBE-GGA | optimized geometry

Unit cell a=3.664 b=6.595 c=7.068 alpha=90.00 beta=90.00 gamma=90.00
Fractional coordinates of all 8 atoms:
Sb  0.500  0.784  0.542
P  0.000  0.893  0.300
O  0.500  0.543  0.967
Ho  0.000  0.703  0.945
O  0.500  0.457  0.467
P  0.000  0.107  0.800
Sb  0.500  0.216  0.042
Ho  0.000  0.297  0.445

- calculated density (Mg/m³) = 6.49
- total moment (μB per formula unit) = 0.01
- crystal system = orthorhombic

=====

x.
HoSbPO | PBE-GGA | optimized geometry

Unit cell a=4.320 b=5.930 c=6.078 alpha=90.00 beta=90.00 gamma=90.00
Fractional coordinates of all 8 atoms:
O  0.000  0.436  0.399
P  0.500  0.073  0.792
Sb  0.500  0.379  0.479
P  0.500  0.927  0.292
Ho  0.000  0.225  0.083
Sb  0.500  0.621  0.979
Ho  0.000  0.775  0.583
O  0.000  0.564  0.899

- calculated density (Mg/m³) = 7.12
- total moment (μB per formula unit) = 0.00
- crystal system = orthorhombic

=====

y.
HoSbPO | PBE-GGA | optimized geometry

Unit cell a=4.021 b=4.021 c=9.991 alpha=90.00 beta=90.00 gamma=90.00
Fractional coordinates of all 8 atoms:
Sb  0.500  0.500  0.500
Sb  0.000  0.000  0.500
O  0.500  0.500  0.000
P  0.500  0.000  0.270
P  0.000  0.500  0.730
Ho  0.500  0.000  0.897
Ho  0.000  0.500  0.103
O  0.000  0.000  0.000

- calculated density (Mg/m³) = 6.86
- total moment (μB per formula unit) = 0.01
- crystal system = tetragonal

=====

z.
HoSbPO | PBE-GGA | optimized geometry

Unit cell a=5.413 b=5.413 c=5.237 alpha=90.00 beta=90.00 gamma=90.00
Fractional coordinates of all 8 atoms:
Sb  0.500  0.000  0.997
O  0.000  0.000  0.000
Ho  0.500  0.500  0.500
P  0.500  0.000  0.497
Ho  0.000  0.000  0.500
P  0.000  0.500  0.503
Sb  0.000  0.500  0.003
O  0.500  0.500  0.000

- calculated density (Mg/m³) = 7.22
- total moment (μB per formula unit) = 0.00
- crystal system = tetragonal

=====

Most stable structure - y; separation to the second - 56 meV per atom.
********
-- Written answer --
w.
HoRePO | PBE-GGA | optimized geometry

Unit cell a=4.303 b=4.303 c=6.486 alpha=90.00 beta=90.00 gamma=90.00
Fractional coordinates of all 8 atoms:
Ho  0.500  0.000  0.500
Re  0.500  0.500  0.871
Ho  0.000  0.500  0.500
O  0.500  0.000  0.000
P  0.500  0.500  0.231
O  0.000  0.500  0.000
P  0.000  0.000  0.769
Re  0.000  0.000  0.129

- calculated density (Mg/m³) = 11.01
- total moment (μB per formula unit) = 0.02
- crystal system = tetragonal

=====

x.
HoRePO | PBE-GGA | optimized geometry

Unit cell a=3.907 b=3.907 c=8.259 alpha=90.00 beta=90.00 gamma=90.00
Fractional coordinates of all 8 atoms:
Ho  0.500  0.500  0.868
O  0.000  0.500  0.000
Re  0.000  0.500  0.500
P  0.500  0.500  0.328
Ho  0.000  0.000  0.132
O  0.500  0.000  0.000
P  0.000  0.000  0.672
Re  0.500  0.000  0.500

- calculated density (Mg/m³) = 10.49
- total moment (μB per formula unit) = 0.00
- crystal system = tetragonal

=====

Most stable structure - x; separation to the second - 1751 meV per atom.

=====

w.
HoRePO | PBE-GGA | optimized geometry

Unit cell a=3.963 b=6.106 c=5.516 alpha=90.00 beta=90.00 gamma=90.00
Fractional coordinates of all 8 atoms:
Re  0.500  0.945  0.101
P  0.000  0.181  0.374
O  0.500  0.240  0.917
P  0.000  0.819  0.874
Ho  0.000  0.341  0.862
Re  0.500  0.055  0.601
O  0.500  0.760  0.417
Ho  0.000  0.659  0.362

- calculated density (Mg/m³) = 9.90
- total moment (μB per formula unit) = 0.00
- crystal system = orthorhombic

=====

x.
HoRePO | PBE-GGA | optimized geometry

Unit cell a=4.363 b=4.415 c=6.188 alpha=90.00 beta=90.00 gamma=90.00
Fractional coordinates of all 8 atoms:
O  0.500  0.847  0.434
P  0.000  0.649  0.790
O  0.500  0.153  0.934
Re  0.000  0.855  0.440
P  0.000  0.351  0.290
Ho  0.500  0.312  0.590
Ho  0.500  0.688  0.090
Re  0.000  0.145  0.940

- calculated density (Mg/m³) = 11.09
- total moment (μB per formula unit) = 0.01
- crystal system = orthorhombic

=====

Most stable structure - x; separation to the second - 232 meV per atom.

=====

w.
HoSbPO | PBE-GGA | optimized geometry

Unit cell a=3.664 b=6.595 c=7.068 alpha=90.00 beta=90.00 gamma=90.00
Fractional coordinates of all 8 atoms:
Sb  0.500  0.784  0.542
P  0.000  0.893  0.300
O  0.500  0.543  0.967
Ho  0.000  0.703  0.945
O  0.500  0.457  0.467
P  0.000  0.107  0.800
Sb  0.500  0.216  0.042
Ho  0.000  0.297  0.445

- calculated density (Mg/m³) = 6.49
- total moment (μB per formula unit) = 0.01
- crystal system = orthorhombic

=====

x.
HoSbPO | PBE-GGA | optimized geometry

Unit cell a=4.320 b=5.930 c=6.078 alpha=90.00 beta=90.00 gamma=90.00
Fractional coordinates of all 8 atoms:
O  0.000  0.436  0.399
P  0.500  0.073  0.792
Sb  0.500  0.379  0.479
P  0.500  0.927  0.292
Ho  0.000  0.225  0.083
Sb  0.500  0.621  0.979
Ho  0.000  0.775  0.583
O  0.000  0.564  0.899

- calculated density (Mg/m³) = 7.12
- total moment (μB per formula unit) = 0.00
- crystal system = orthorhombic

=====

y.
HoSbPO | PBE-GGA | optimized geometry

Unit cell a=4.021 b=4.021 c=9.991 alpha=90.00 beta=90.00 gamma=90.00
Fractional coordinates of all 8 atoms:
Sb  0.500  0.500  0.500
Sb  0.000  0.000  0.500
O  0.500  0.500  0.000
P  0.500  0.000  0.270
P  0.000  0.500  0.730
Ho  0.500  0.000  0.897
Ho  0.000  0.500  0.103
O  0.000  0.000  0.000

- calculated density (Mg/m³) = 6.86
- total moment (μB per formula unit) = 0.01
- crystal system = tetragonal

=====

z.
HoSbPO | PBE-GGA | optimized geometry

Unit cell a=5.413 b=5.413 c=5.237 alpha=90.00 beta=90.00 gamma=90.00
Fractional coordinates of all 8 atoms:
Sb  0.500  0.000  0.997
O  0.000  0.000  0.000
Ho  0.500  0.500  0.500
P  0.500  0.000  0.497
Ho  0.000  0.000  0.500
P  0.000  0.500  0.503
Sb  0.000  0.500  0.003
O  0.500  0.500  0.000

- calculated density (Mg/m³) = 7.22
- total moment (μB per formula unit) = 0.00
- crystal system = tetragonal

=====

Most stable structure - y; separation to the second - 56 meV per atom.